### Request
Now echo everything further below with every line break kept.

### Material
=====
# 1
{
  "formula": "CH3BrS",
  "method": "ωB97M-V with the def2-TZVPD basis set",
  "gap_ev": [9.978, 5.842],
  "e_tot_ev": -81959.6082,
  "multiplicity": 1,
  "elements": ["C", "S", "Br", "H", "H", "H"],
  "coordinates": [[1.17, -0.24, 0.71], [-1.86, 0.23, -0.89], [2.23, -0.42, -0.82], [0.08, -0.24, 0.41], [1.65, 0.37, 1.54], [-3.26, 0.31, -0.95]]
}

# 2
{
  "formula": "CH3Cl2NO2S",
  "method": "ωB97M-V with the def2-TZVPD basis set",
  "gap_ev": [7.733, 7.734],
  "e_tot_ev": -42545.3294,
  "multiplicity": 1,
  "elements": ["C", "N", "O", "O", "S", "Cl", "Cl", "H", "H", "H"],
  "coordinates": [[-0.16, -1.37, -0.14], [0.66, 2.22, 1.56], [-1.96, 0.44, -0.60], [-0.17, 0.28, -2.35], [-0.64, 0.19, -0.98], [1.89, 1.42, 2.50], [0.58, 1.75, 0.00], [0.91, -1.66, -0.27], [-0.38, -1.16, 0.87], [-0.73, -2.09, -0.59]]
}

Looking at ΔE to the lowest compared entry with this formula, charge and spin for the records above, in order, we have 3.371, 4.901 eV.

=====

# 1
C5H7NO as an isolated structure, computed with the ωB97M-V functional and the def2-TZVPD basis.

The geometry in XYZ format:
```
14
Properties=species:S:1:pos:R:3:forces:R:3:mulliken_charge:R:1
C -1.706 0.461 -0.306 -0.316 0.188 0.043 -1.094
C -0.099 -0.833 0.341 0.131 -0.111 -0.002 0.344
N 0.727 -1.530 1.173 -0.039 -0.254 -0.158 -0.543
C 0.783 0.001 1.096 -0.104 0.373 0.088 -0.312
C 1.131 0.657 -0.243 0.198 0.206 -0.056 -0.491
C 0.009 -0.251 -0.979 0.029 -0.098 -0.107 0.535
O -0.080 -0.635 -2.136 0.024 0.012 0.276 -0.704
H -1.719 1.188 -1.120 0.062 -0.123 0.095 0.355
H -1.821 0.946 0.664 0.048 -0.083 -0.135 0.346
H -2.464 -0.303 -0.482 0.142 0.078 0.030 0.344
H 1.422 -2.107 0.697 -0.064 0.037 0.030 0.284
H 0.585 0.496 2.038 0.024 -0.096 -0.148 0.380
H 2.082 0.353 -0.689 -0.139 0.026 0.044 0.293
H 1.025 1.745 -0.254 0.003 -0.157 -0.001 0.262
```
Forces are in eV/Å.

For the HOMO energy, the calculation gives -0.297 Eh. The spin multiplicity is 1. For the energy above the lowest of the compared OMol25 structures with the same formula, charge and spin, the calculation gives 684.2 kJ/mol. As for the HOMO-LUMO gap: 7.7 eV.

***

# 2
C41H65Br23F9N2O5S as an isolated structure at a distorted geometry, computed with the ωB97M-V functional and the def2-TZVPD basis.

The geometry in XYZ format:
```
146
Properties=species:S:1:pos:R:3:forces:R:3:mulliken_charge:R:1
C 6.846 -4.661 4.826 0.234 0.428 0.249 -1.342
C 6.466 -3.197 4.612 -0.107 -0.281 -0.108 -0.465
C 5.622 -2.977 3.354 -0.059 0.188 0.191 -0.650
C 5.479 -1.457 3.004 -0.245 -0.803 0.753 0.441
C 4.262 -0.896 3.760 -0.184 -0.094 -0.565 -2.061
C 5.430 -1.280 1.506 -0.312 0.445 0.205 0.732
C 4.246 -0.902 0.906 0.908 -0.251 -0.594 -1.031
C 4.179 -0.743 -0.484 -1.105 0.026 0.161 -0.045
C 2.837 -0.257 -1.015 0.989 0.887 -0.343 -0.283
C 2.208 0.723 -0.044 -0.262 -0.330 -0.001 -0.344
O 1.236 0.498 0.578 1.331 1.733 0.702 -0.287
Br 3.141 2.444 0.068 0.024 -0.178 -0.051 -0.160
C 5.288 -1.012 -1.261 -0.164 -0.488 0.662 -0.113
S 5.021 -0.830 -3.040 -1.365 1.983 -1.759 1.466
O 3.722 -1.281 -3.435 0.155 -1.437 0.940 -0.639
O 5.209 0.554 -3.343 1.342 0.003 0.594 -0.585
C 6.091 -1.807 -4.226 0.300 -0.291 -1.306 0.400
F 5.517 -1.548 -5.411 -0.576 0.059 0.324 -0.252
F 7.324 -1.317 -4.363 0.095 -0.105 0.730 -0.269
C 6.089 -3.358 -4.021 1.126 0.087 0.164 0.734
F 7.377 -3.753 -4.131 -0.046 0.011 -0.192 -0.316
F 5.737 -3.652 -2.748 -0.500 0.175 -0.096 -0.243
C 5.294 -4.229 -5.033 -0.191 -1.179 0.447 0.402
F 5.550 -5.497 -4.624 -0.018 0.140 0.422 -0.290
F 5.796 -4.155 -6.263 -0.128 0.811 -0.039 -0.255
C 3.738 -4.125 -5.040 -0.461 -0.737 -0.780 0.709
F 3.288 -3.134 -5.792 0.196 0.362 0.250 -0.228
F 3.237 -4.055 -3.813 0.216 0.282 0.140 -0.217
F 3.295 -5.263 -5.585 0.039 0.052 -0.038 -0.261
N 6.459 -1.349 -0.653 0.099 -0.546 -0.282 0.551
C 7.671 -1.523 -1.462 1.036 0.989 -0.531 -0.882
C 8.205 -0.125 -1.861 0.130 0.150 -0.031 0.151
N 8.426 0.800 -1.034 -0.111 -0.374 0.141 -0.468
C 6.550 -1.477 0.679 -0.361 -0.009 1.344 -0.027
=====

### Done
# 1
{
  "formula": "CH3BrS",
  "method": "ωB97M-V with the def2-TZVPD basis set",
  "gap_ev": [9.978, 5.842],
  "e_tot_ev": -81959.6082,
  "multiplicity": 1,
  "elements": ["C", "S", "Br", "H", "H", "H"],
  "coordinates": [[1.17, -0.24, 0.71], [-1.86, 0.23, -0.89], [2.23, -0.42, -0.82], [0.08, -0.24, 0.41], [1.65, 0.37, 1.54], [-3.26, 0.31, -0.95]]
}

# 2
{
  "formula": "CH3Cl2NO2S",
  "method": "ωB97M-V with the def2-TZVPD basis set",
  "gap_ev": [7.733, 7.734],
  "e_tot_ev": -42545.3294,
  "multiplicity": 1,
  "elements": ["C", "N", "O", "O", "S", "Cl", "Cl", "H", "H", "H"],
  "coordinates": [[-0.16, -1.37, -0.14], [0.66, 2.22, 1.56], [-1.96, 0.44, -0.60], [-0.17, 0.28, -2.35], [-0.64, 0.19, -0.98], [1.89, 1.42, 2.50], [0.58, 1.75, 0.00], [0.91, -1.66, -0.27], [-0.38, -1.16, 0.87], [-0.73, -2.09, -0.59]]
}

Looking at ΔE to the lowest compared entry with this formula, charge and spin for the records above, in order, we have 3.371, 4.901 eV.

=====

# 1
C5H7NO as an isolated structure, computed with the ωB97M-V functional and the def2-TZVPD basis.

The geometry in XYZ format:
```
14
Properties=species:S:1:pos:R:3:forces:R:3:mulliken_charge:R:1
C -1.706 0.461 -0.306 -0.316 0.188 0.043 -1.094
C -0.099 -0.833 0.341 0.131 -0.111 -0.002 0.344
N 0.727 -1.530 1.173 -0.039 -0.254 -0.158 -0.543
C 0.783 0.001 1.096 -0.104 0.373 0.088 -0.312
C 1.131 0.657 -0.243 0.198 0.206 -0.056 -0.491
C 0.009 -0.251 -0.979 0.029 -0.098 -0.107 0.535
O -0.080 -0.635 -2.136 0.024 0.012 0.276 -0.704
H -1.719 1.188 -1.120 0.062 -0.123 0.095 0.355
H -1.821 0.946 0.664 0.048 -0.083 -0.135 0.346
H -2.464 -0.303 -0.482 0.142 0.078 0.030 0.344
H 1.422 -2.107 0.697 -0.064 0.037 0.030 0.284
H 0.585 0.496 2.038 0.024 -0.096 -0.148 0.380
H 2.082 0.353 -0.689 -0.139 0.026 0.044 0.293
H 1.025 1.745 -0.254 0.003 -0.157 -0.001 0.262
```
Forces are in eV/Å.

For the HOMO energy, the calculation gives -0.297 Eh. The spin multiplicity is 1. For the energy above the lowest of the compared OMol25 structures with the same formula, charge and spin, the calculation gives 684.2 kJ/mol. As for the HOMO-LUMO gap: 7.7 eV.

***

# 2
C41H65Br23F9N2O5S as an isolated structure at a distorted geometry, computed with the ωB97M-V functional and the def2-TZVPD basis.

The geometry in XYZ format:
```
146
Properties=species:S:1:pos:R:3:forces:R:3:mulliken_charge:R:1
C 6.846 -4.661 4.826 0.234 0.428 0.249 -1.342
C 6.466 -3.197 4.612 -0.107 -0.281 -0.108 -0.465
C 5.622 -2.977 3.354 -0.059 0.188 0.191 -0.650
C 5.479 -1.457 3.004 -0.245 -0.803 0.753 0.441
C 4.262 -0.896 3.760 -0.184 -0.094 -0.565 -2.061
C 5.430 -1.280 1.506 -0.312 0.445 0.205 0.732
C 4.246 -0.902 0.906 0.908 -0.251 -0.594 -1.031
C 4.179 -0.743 -0.484 -1.105 0.026 0.161 -0.045
C 2.837 -0.257 -1.015 0.989 0.887 -0.343 -0.283
C 2.208 0.723 -0.044 -0.262 -0.330 -0.001 -0.344
O 1.236 0.498 0.578 1.331 1.733 0.702 -0.287
Br 3.141 2.444 0.068 0.024 -0.178 -0.051 -0.160
C 5.288 -1.012 -1.261 -0.164 -0.488 0.662 -0.113
S 5.021 -0.830 -3.040 -1.365 1.983 -1.759 1.466
O 3.722 -1.281 -3.435 0.155 -1.437 0.940 -0.639
O 5.209 0.554 -3.343 1.342 0.003 0.594 -0.585
C 6.091 -1.807 -4.226 0.300 -0.291 -1.306 0.400
F 5.517 -1.548 -5.411 -0.576 0.059 0.324 -0.252
F 7.324 -1.317 -4.363 0.095 -0.105 0.730 -0.269
C 6.089 -3.358 -4.021 1.126 0.087 0.164 0.734
F 7.377 -3.753 -4.131 -0.046 0.011 -0.192 -0.316
F 5.737 -3.652 -2.748 -0.500 0.175 -0.096 -0.243
C 5.294 -4.229 -5.033 -0.191 -1.179 0.447 0.402
F 5.550 -5.497 -4.624 -0.018 0.140 0.422 -0.290
F 5.796 -4.155 -6.263 -0.128 0.811 -0.039 -0.255
C 3.738 -4.125 -5.040 -0.461 -0.737 -0.780 0.709
F 3.288 -3.134 -5.792 0.196 0.362 0.250 -0.228
F 3.237 -4.055 -3.813 0.216 0.282 0.140 -0.217
F 3.295 -5.263 -5.585 0.039 0.052 -0.038 -0.261
N 6.459 -1.349 -0.653 0.099 -0.546 -0.282 0.551
C 7.671 -1.523 -1.462 1.036 0.989 -0.531 -0.882
C 8.205 -0.125 -1.861 0.130 0.150 -0.031 0.151
N 8.426 0.800 -1.034 -0.111 -0.374 0.141 -0.468
C 6.550 -1.477 0.679 -0.361 -0.009 1.344 -0.027